Work out how many lines further below have the word "Mo1" in them; a number is enough.
=====
1.
# TiInTeMo2, optimized geometry, DFT GGA-PBE
# Fermi-level density of states	9.3	states/eV/f.u.
# raw formation energy	8.980	eV per formula unit
# crystal system	tetragonal
# magnetic moment	0.2482	μB/atom
data_TiInTeMo2
_cell_length_a 4.978
_cell_length_b 4.978
_cell_length_c 4.937
_cell_angle_alpha 90.00
_cell_angle_beta 90.00
_cell_angle_gamma 90.00
_space_group_name_H-M_alt 'P 4/m m m'
_space_group_IT_number 123
_space_group_name_Hall '-P 4 2'
loop_
_atom_site_label
_atom_site_type_symbol
_atom_site_fract_x
_atom_site_fract_y
_atom_site_fract_z
Ti1 Ti 0.000 0.000 0.000
In1 In 0.000 0.000 0.500
Te1 Te 0.500 0.500 0.000
Mo1 Mo 0.000 0.500 0.500


2.
# CdNiCl, optimized geometry, DFT GGA-PBE
# Fermi-level density of states	0.6	states/eV/f.u.
# raw formation energy	0.646	eV per formula unit
# ΔE to the lowest computed polymorph	276	meV per atom
# crystal system	cubic
# magnetic moment	0.0000	μB/atom
data_CdNiCl
_cell_length_a 6.206
_cell_length_b 6.206
_cell_length_c 6.206
_cell_angle_alpha 90.00
_cell_angle_beta 90.00
_cell_angle_gamma 90.00
_space_group_name_H-M_alt 'F -4 3 m'
_space_group_IT_number 216
_space_group_name_Hall 'F -4 2 3'
loop_
_atom_site_label
_atom_site_type_symbol
_atom_site_fract_x
_atom_site_fract_y
_atom_site_fract_z
Cd1 Cd 0.000 0.000 0.000
Ni1 Ni 0.250 0.250 0.750
Cl1 Cl 0.000 0.000 0.500


3.
# BaPb3Br8, optimized geometry, DFT GGA-PBE
# Fermi-level density of states	0.0	states/eV/f.u.
# raw formation energy	-14.623	eV per formula unit
# crystal system	monoclinic
# magnetic moment	0.0000	μB/atom
data_BaPb3Br8
_cell_length_a 14.173
_cell_length_b 9.281
_cell_length_c 8.485
_cell_angle_alpha 90.00
_cell_angle_beta 118.67
_cell_angle_gamma 90.00
_space_group_name_H-M_alt 'C 1 2/m 1'
_space_group_IT_number 12
loop_
_space_group_symop_operation_xyz
'x,y,z'
'-x,-y,-z'
'-x,y,-z'
'x,-y,z'
'x+1/2,y+1/2,z'
'-x+1/2,-y+1/2,-z'
'-x+1/2,y+1/2,-z'
'x+1/2,-y+1/2,z'
loop_
_atom_site_label
_atom_site_type_symbol
_atom_site_fract_x
_atom_site_fract_y
_atom_site_fract_z
Ba1 Ba 0.000 0.000 0.000
Pb1 Pb 0.000 0.500 0.000
Pb2 Pb 0.250 0.250 0.500
Br1 Br 0.005 0.262 0.256
Br2 Br 0.243 0.500 0.732
Br3 Br 0.249 0.500 0.252


Look up the magnetic moment of the third one.
0.0000 μB/atom


The lowest Fermi-level density of states belongs to which entry?
BaPb3Br8


What is the raw formation energy in the first record?
8.980 eV per formula unit


The highest magnetic moment belongs to which entry?
TiInTeMo2

=====

Record 1
VASP calculation (PBE-GGA) on a relaxed Y2AuCl crystal.

Cell: 5.122 5.122 5.122 Å, 60.00 60.00 60.00°
Positions (direct):
Y 0.250 0.250 0.250
Y 0.750 0.750 0.750
Au 0.500 0.500 0.500
Cl 0.000 0.000 0.000

Output
VASP energy, eV for the cell shown: -21.311
Excess energy over the best structure of this formula in the dataset, meV/atom: 253
Space group: Fm-3m (225)
Total moment, μB per formula unit: 0.0
Crystal system: cubic
Calculated volume, Å³/atom: 23.76

Record 2
VASP calculation (PBE-GGA) on a relaxed Y2AuCl2 crystal.

Cell: 8.219 8.219 3.249 Å, 90.00 90.00 90.00°
Positions (direct):
Y 0.182 0.682 0.500
Y 0.682 0.818 0.500
Y 0.818 0.318 0.500
Y 0.318 0.182 0.500
Au 0.000 0.000 0.000
Au 0.500 0.500 0.000
Cl 0.378 0.878 0.000
Cl 0.878 0.622 0.000
Cl 0.622 0.122 0.000
Cl 0.122 0.378 0.000

Output
VASP energy, eV for the cell shown: -49.596
Excess energy over the best structure of this formula in the dataset, meV/atom: 210
Space group: P4/mbm (127)
Total moment, μB per formula unit: 0.0
Crystal system: tetragonal
Calculated volume, Å³/atom: 21.95

Record 3
VASP calculation (PBE-GGA) on a relaxed Y2AuCl crystal.

Cell: 4.110 4.110 7.510 Å, 74.00 74.00 59.84°
Positions (direct):
Au 0.250 0.250 0.250
Cl 0.750 0.750 0.750
Y 0.994 0.994 0.021
Y 0.506 0.506 0.479

Output
VASP energy, eV for the cell shown: -22.253
Excess energy over the best structure of this formula in the dataset, meV/atom: 17
Space group: C2/m (12)
Total moment, μB per formula unit: 0.0
Crystal system: monoclinic
=====
1